- - -
Entry 1:
Compound: HfGa6Fe6
Source: the Materials Project database
Functional: GGA-PBE
Structure: relaxed

Computed properties:
**Total magnetization**: 21.5 Bohr magnetons per cell
**E**: -165.32 eV per cell
**Density**: 8.59 g cm⁻³
**Energy relative to the elements**: -286 meV/atom

```
data_HfGa6Fe6
_chemical_formula_sum 'Hf2 Ga12 Fe12'
_cell_length_a 4.988
_cell_length_b 8.403
_cell_length_c 8.596
_cell_angle_alpha 90.00
_cell_angle_beta 90.00
_cell_angle_gamma 90.00
_space_group_name_H-M_alt 'I m m m'
_space_group_IT_number 71
_space_group_name_Hall '-I 2 2'
loop_
_atom_site_label
_atom_site_type_symbol
_atom_site_fract_x
_atom_site_fract_y
_atom_site_fract_z
Hf1 Hf 0.000 0.000 0.000
Ga1 Ga 0.000 0.000 0.341
Ga2 Ga 0.000 0.331 0.000
Ga3 Ga 0.000 0.500 0.327
Fe1 Fe 0.000 0.256 0.500
Fe2 Fe 0.250 0.250 0.250
```

***

Entry 2:
Compound: Ho2Ga8Fe
Source: the Materials Project database
Functional: GGA-PBE
Structure: relaxed

Computed properties:
**Total magnetization**: 0.0 Bohr magnetons per cell
**E**: -46.76 eV per cell
**Density**: 7.85 g cm⁻³
**Energy relative to the elements**: -445 meV/atom

```
data_Ho2Ga8Fe
_chemical_formula_sum 'Ho2 Ga8 Fe1'
_cell_length_a 4.246
_cell_length_b 4.246
_cell_length_c 11.066
_cell_angle_alpha 90.00
_cell_angle_beta 90.00
_cell_angle_gamma 90.00
_space_group_name_H-M_alt 'P 4/m m m'
_space_group_IT_number 123
_space_group_name_Hall '-P 4 2'
loop_
_atom_site_label
_atom_site_type_symbol
_atom_site_fract_x
_atom_site_fract_y
_atom_site_fract_z
Ho1 Ho 0.000 0.000 0.195
Ga1 Ga 0.000 0.500 0.000
Ga2 Ga 0.000 0.500 0.385
Ga3 Ga 0.500 0.500 0.200
Fe1 Fe 0.000 0.000 0.500
```

***

Entry 3:
Compound: LaGa8Fe2
Source: the Materials Project database
Functional: GGA-PBE
Structure: relaxed

Computed properties:
**Total magnetization**: 3.0 Bohr magnetons per cell
**E**: -199.74 eV per cell
**Density**: 7.42 g cm⁻³
**Energy relative to the elements**: -348 meV/atom

```
data_LaGa8Fe2
_chemical_formula_sum 'La4 Ga32 Fe8'
_cell_length_a 12.595
_cell_length_b 14.272
_cell_length_c 4.023
_cell_angle_alpha 90.00
_cell_angle_beta 90.00
_cell_angle_gamma 90.00
_space_group_name_H-M_alt 'P b a m'
_space_group_IT_number 55
loop_
_space_group_symop_operation_xyz
'x,y,z'
'-x,-y,-z'
'-x,-y,z'
'x,y,-z'
'x+1/2,-y+1/2,-z'
'-x+1/2,y+1/2,z'
'-x+1/2,y+1/2,-z'
'x+1/2,-y+1/2,z'
loop_
_atom_site_label
_atom_site_type_symbol
_atom_site_fract_x
_atom_site_fract_y
_atom_site_fract_z
La1 La 0.158 0.181 0.000
Ga1 Ga 0.000 0.000 0.000
Ga2 Ga 0.000 0.500 0.500
Ga3 Ga 0.025 0.866 0.500
Ga4 Ga 0.049 0.318 0.500
Ga5 Ga 0.098 0.746 0.000
Ga6 Ga 0.163 0.454 0.000
Ga7 Ga 0.164 0.621 0.500
Ga8 Ga 0.168 0.010 0.500
Ga9 Ga 0.239 0.826 0.500
Fe1 Fe 0.034 0.591 0.000
Fe2 Fe 0.153 0.903 0.000
```

***

Entry 4:
Compound: Mg14GaFe
Source: the Materials Project database
Functional: GGA-PBE
Structure: relaxed

Computed properties:
**Total magnetization**: 0.2 Bohr magnetons per cell
**E**: -64.76 eV per cell
**Density**: 2.29 g cm⁻³
**Energy relative to the elements**: 95 meV/atom

```
data_Mg14GaFe
_chemical_formula_sum 'Mg28 Ga2 Fe2'
_cell_length_a 10.038
_cell_length_b 6.238
_cell_length_c 10.768
_cell_angle_alpha 90.00
_cell_angle_beta 90.00
_cell_angle_gamma 90.00
_space_group_name_H-M_alt 'A m m 2'
_space_group_IT_number 38
loop_
_space_group_symop_operation_xyz
'x,y,z'
'-x,-y,z'
'-x,y,z'
'x,-y,z'
'x,y+1/2,z+1/2'
'-x,-y+1/2,z+1/2'
'-x,y+1/2,z+1/2'
'x,-y+1/2,z+1/2'
loop_
_atom_site_label
_atom_site_type_symbol
_atom_site_fract_x
_atom_site_fract_y
_atom_site_fract_z
Mg1 Mg 0.000 0.000 0.000
Mg2 Mg 0.000 0.000 0.499
Mg3 Mg 0.000 0.249 0.251
Mg4 Mg 0.250 0.000 0.666
Mg5 Mg 0.260 0.000 0.162
Mg6 Mg 0.269 0.244 0.922
Mg7 Mg 0.500 0.249 0.747
Ga1 Ga 0.500 0.000 0.504
Fe1 Fe 0.500 0.000 0.001
```

***

Entry 5:
Compound: Mg14GaFe
Source: the Materials Project database
Functional: GGA-PBE
Structure: relaxed

Computed properties:
**Total magnetization**: 0.0 Bohr magnetons per cell
**E**: -32.55 eV per cell
**Density**: 2.31 g cm⁻³
- - -
Now write out everything above without altering anything.
Entry 1:
Compound: HfGa6Fe6
Source: the Materials Project database
Functional: GGA-PBE
Structure: relaxed

Computed properties:
**Total magnetization**: 21.5 Bohr magnetons per cell
**E**: -165.32 eV per cell
**Density**: 8.59 g cm⁻³
**Energy relative to the elements**: -286 meV/atom

```
data_HfGa6Fe6
_chemical_formula_sum 'Hf2 Ga12 Fe12'
_cell_length_a 4.988
_cell_length_b 8.403
_cell_length_c 8.596
_cell_angle_alpha 90.00
_cell_angle_beta 90.00
_cell_angle_gamma 90.00
_space_group_name_H-M_alt 'I m m m'
_space_group_IT_number 71
_space_group_name_Hall '-I 2 2'
loop_
_atom_site_label
_atom_site_type_symbol
_atom_site_fract_x
_atom_site_fract_y
_atom_site_fract_z
Hf1 Hf 0.000 0.000 0.000
Ga1 Ga 0.000 0.000 0.341
Ga2 Ga 0.000 0.331 0.000
Ga3 Ga 0.000 0.500 0.327
Fe1 Fe 0.000 0.256 0.500
Fe2 Fe 0.250 0.250 0.250
```

***

Entry 2:
Compound: Ho2Ga8Fe
Source: the Materials Project database
Functional: GGA-PBE
Structure: relaxed

Computed properties:
**Total magnetization**: 0.0 Bohr magnetons per cell
**E**: -46.76 eV per cell
**Density**: 7.85 g cm⁻³
**Energy relative to the elements**: -445 meV/atom

```
data_Ho2Ga8Fe
_chemical_formula_sum 'Ho2 Ga8 Fe1'
_cell_length_a 4.246
_cell_length_b 4.246
_cell_length_c 11.066
_cell_angle_alpha 90.00
_cell_angle_beta 90.00
_cell_angle_gamma 90.00
_space_group_name_H-M_alt 'P 4/m m m'
_space_group_IT_number 123
_space_group_name_Hall '-P 4 2'
loop_
_atom_site_label
_atom_site_type_symbol
_atom_site_fract_x
_atom_site_fract_y
_atom_site_fract_z
Ho1 Ho 0.000 0.000 0.195
Ga1 Ga 0.000 0.500 0.000
Ga2 Ga 0.000 0.500 0.385
Ga3 Ga 0.500 0.500 0.200
Fe1 Fe 0.000 0.000 0.500
```

***

Entry 3:
Compound: LaGa8Fe2
Source: the Materials Project database
Functional: GGA-PBE
Structure: relaxed

Computed properties:
**Total magnetization**: 3.0 Bohr magnetons per cell
**E**: -199.74 eV per cell
**Density**: 7.42 g cm⁻³
**Energy relative to the elements**: -348 meV/atom

```
data_LaGa8Fe2
_chemical_formula_sum 'La4 Ga32 Fe8'
_cell_length_a 12.595
_cell_length_b 14.272
_cell_length_c 4.023
_cell_angle_alpha 90.00
_cell_angle_beta 90.00
_cell_angle_gamma 90.00
_space_group_name_H-M_alt 'P b a m'
_space_group_IT_number 55
loop_
_space_group_symop_operation_xyz
'x,y,z'
'-x,-y,-z'
'-x,-y,z'
'x,y,-z'
'x+1/2,-y+1/2,-z'
'-x+1/2,y+1/2,z'
'-x+1/2,y+1/2,-z'
'x+1/2,-y+1/2,z'
loop_
_atom_site_label
_atom_site_type_symbol
_atom_site_fract_x
_atom_site_fract_y
_atom_site_fract_z
La1 La 0.158 0.181 0.000
Ga1 Ga 0.000 0.000 0.000
Ga2 Ga 0.000 0.500 0.500
Ga3 Ga 0.025 0.866 0.500
Ga4 Ga 0.049 0.318 0.500
Ga5 Ga 0.098 0.746 0.000
Ga6 Ga 0.163 0.454 0.000
Ga7 Ga 0.164 0.621 0.500
Ga8 Ga 0.168 0.010 0.500
Ga9 Ga 0.239 0.826 0.500
Fe1 Fe 0.034 0.591 0.000
Fe2 Fe 0.153 0.903 0.000
```

***

Entry 4:
Compound: Mg14GaFe
Source: the Materials Project database
Functional: GGA-PBE
Structure: relaxed

Computed properties:
**Total magnetization**: 0.2 Bohr magnetons per cell
**E**: -64.76 eV per cell
**Density**: 2.29 g cm⁻³
**Energy relative to the elements**: 95 meV/atom

```
data_Mg14GaFe
_chemical_formula_sum 'Mg28 Ga2 Fe2'
_cell_length_a 10.038
_cell_length_b 6.238
_cell_length_c 10.768
_cell_angle_alpha 90.00
_cell_angle_beta 90.00
_cell_angle_gamma 90.00
_space_group_name_H-M_alt 'A m m 2'
_space_group_IT_number 38
loop_
_space_group_symop_operation_xyz
'x,y,z'
'-x,-y,z'
'-x,y,z'
'x,-y,z'
'x,y+1/2,z+1/2'
'-x,-y+1/2,z+1/2'
'-x,y+1/2,z+1/2'
'x,-y+1/2,z+1/2'
loop_
_atom_site_label
_atom_site_type_symbol
_atom_site_fract_x
_atom_site_fract_y
_atom_site_fract_z
Mg1 Mg 0.000 0.000 0.000
Mg2 Mg 0.000 0.000 0.499
Mg3 Mg 0.000 0.249 0.251
Mg4 Mg 0.250 0.000 0.666
Mg5 Mg 0.260 0.000 0.162
Mg6 Mg 0.269 0.244 0.922
Mg7 Mg 0.500 0.249 0.747
Ga1 Ga 0.500 0.000 0.504
Fe1 Fe 0.500 0.000 0.001
```

***

Entry 5:
Compound: Mg14GaFe
Source: the Materials Project database
Functional: GGA-PBE
Structure: relaxed

Computed properties:
**Total magnetization**: 0.0 Bohr magnetons per cell
**E**: -32.55 eV per cell
**Density**: 2.31 g cm⁻³